I'm not the first guy to do this of course, but I thought I'd create a thread documenting my tear down and rebuild of my '00 Boxster S.
Snapshot of the car:
I purchased the car two months ago for a very good price (relative to the going rate for similar S model Boxsters). The car is straight, runs great, has great tires, the top and interior are both in great condition, etc.
During my initial introduction to the car I read as much as possible about it and of course stumbled across the dreaded IMS failure. From what I could read it was definitely something I should be concerned about, but that paranoia was tempered with the other argument - that it would have happened already, that it was relatively low risk, etc.
My tear down decision:
Last weekend I did an oil change and found metal in the stock filter. That was a sad moment for me :ah:

Obviously I need to stop driving the car until I've determined what the source of the metal is, what damage has been done and fix it if possible. If I were well off I would simply write a check to a well known Porsche shop. I'm not poor, but I'm also not in a position to write checks for $18K. Nor am I particularly stoked to pay $4-9K for a used engine of unknown origin, even if it does come with a 12 month "warranty".
/*
Record 1
# BaZnSb4O8 | Materials Project | PBE | relaxed
data_BaZnSb4O8
_cell_length_a 6.1414
_cell_length_b 6.1414
_cell_length_c 7.1770
_cell_angle_alpha 90.00
_cell_angle_beta 90.00
_cell_angle_gamma 120.00
_symmetry_space_group_name_H-M 'P -3 1 m'
_symmetry_Int_Tables_number 162
_symmetry_space_group_name_Hall '-P 3 2'
loop_
_atom_site_label
_atom_site_fract_x
_atom_site_fract_y
_atom_site_fract_z
Ba1 0.0000 0.0000 0.0000
Zn1 0.0000 0.0000 0.5000
Sb1 0.3333 0.6667 0.2825
O1 0.0000 0.2879 0.2973
O2 0.3333 0.6667 0.0000
# Uncorrected energy   -77.5 eV per cell
# Energy of formation   -1.693 eV per atom



Record 2
# Ba8Zr3Sb4O24 | Materials Project | PBE | relaxed
data_Ba8Zr3Sb4O24
_cell_length_a 8.392
_cell_length_b 8.392
_cell_length_c 16.874
_cell_angle_alpha 90.00
_cell_angle_beta 90.00
_cell_angle_gamma 90.00
_symmetry_space_group_name_H-M 'I 4/m m m'
_symmetry_Int_Tables_number 139
_symmetry_space_group_name_Hall '-I 4 2'
loop_
_atom_site_label
_atom_site_fract_x
_atom_site_fract_y
_atom_site_fract_z
Ba1 0.233 0.233 0.118
Zr1 0.000 0.000 0.500
Zr2 0.000 0.500 0.250
Sb1 0.000 0.000 0.256
Sb2 0.000 0.500 0.000
O1 0.000 0.000 0.141
O2 0.000 0.000 0.374
O3 0.000 0.246 0.255
O4 0.000 0.252 0.500
O5 0.000 0.271 0.000
O6 0.000 0.500 0.124
# Uncorrected energy   -552.8 eV per cell
# Energy of formation   -2.990 eV per atom



Record 3
# BaScO3 | Materials Project | PBE | relaxed
data_BaScO3
_cell_length_a 4.220
_cell_length_b 4.220
_cell_length_c 4.220
_cell_angle_alpha 90.00
_cell_angle_beta 90.00
_cell_angle_gamma 90.00
_symmetry_space_group_name_H-M 'P m -3 m'
_symmetry_Int_Tables_number 221
_symmetry_space_group_name_Hall '-P 4 2 3'
loop_
_atom_site_label
_atom_site_fract_x
_atom_site_fract_y
_atom_site_fract_z
Ba1 0.000 0.000 0.000
Sc1 0.500 0.500 0.500
O1 0.000 0.500 0.500
# Uncorrected energy   -37.1 eV per cell
# Energy of formation   -3.207 eV per atom



Record 4
# BaSc2O4 | Materials Project | PBE | relaxed
data_BaSc2O4
_cell_length_a 9.927
_cell_length_b 5.877
_cell_length_c 20.740
_cell_angle_alpha 90.00
_cell_angle_beta 90.04
_cell_angle_gamma 90.00
_symmetry_space_group_name_H-M 'C 1 2/c 1'
_symmetry_Int_Tables_number 15
_symmetry_space_group_name_Hall '-C 2yc'
loop_
_atom_site_label
_atom_site_fract_x
_atom_site_fract_y
_atom_site_fract_z
Ba1 0.000 0.107 0.250
Ba2 0.166 0.392 0.638
Sc1 0.002 0.115 0.429
Sc2 0.163 0.379 0.947
Sc3 0.168 0.392 0.805
O1 0.000 0.427 0.750
O2 0.000 0.500 0.000
O3 0.068 0.162 0.876
O4 0.107 0.357 0.381
O5 0.152 0.055 0.997
O6 0.170 0.148 0.125
O7 0.236 0.133 0.749
# Uncorrected energy   -689.5 eV per cell
# Energy of formation   -3.690 eV per atom



Record 5
# Ba9Sc2Si6O24 | Materials Project | PBE | relaxed
data_Ba9Sc2Si6O24
_cell_length_a 9.9998
_cell_length_b 9.9998
_cell_length_c 22.2347
_cell_angle_alpha 90.00
_cell_angle_beta 90.00
_cell_angle_gamma 120.00
_symmetry_space_group_name_H-M 'R -3'
_symmetry_Int_Tables_number 148
_symmetry_space_group_name_Hall '-R 3'
loop_
_atom_site_label
*/
I also bought the car as a hobby. So, I decided to take the plunge and get to know this car completely. This journey may take until early next year to complete but I'm going to drive this car again, and have a blast doing it. So come along if you'd like, and see if a mere mortal can pull it off.
I commute about 80 miles per day via motorcycle and, this will make some people laugh, I bought the car to drive in crappy weather and to make my girlfriend happy (I've had worse problems). So basically I don't
need this car to be running any time soon.
[Unrelated to this page: data records]
Record 1
{"formula": "Li7Mn2Co3O12", "functional": "PBE+U", "state": "relaxed", "de_polymorph_ev_per_atom": 0.0461, "volume_a3_per_atom": 8.9, "energy_ev_per_atom": -5.883, "mass_density_kg_m3": 4094, "lattice_angstrom": [[5.884, 0.000, 0.000], [-2.936, 5.104, 0.000], [-1.372, -2.447, 7.121]], "species": ["Li", "Li", "Li", "Li", "Li", "Li", "Li", "Mn", "Mn", "Co", "Co", "Co", "O", "O", "O", "O", "O", "O", "O", "O", "O", "O", "O", "O"], "fractional_positions": [[0.000, 0.000, 0.000], [0.000, 0.499, 0.997], [0.002, 0.671, 0.666], [0.501, 0.998, 0.996], [0.983, 0.315, 0.320], [0.992, 0.829, 0.328], [0.999, 0.167, 0.662], [0.498, 0.499, 0.997], [0.501, 0.165, 0.667], [0.490, 0.834, 0.318], [0.498, 0.326, 0.326], [0.498, 0.677, 0.665], [0.262, 0.418, 0.153], [0.262, 0.912, 0.175], [0.266, 0.779, 0.513], [0.276, 0.255, 0.498], [0.278, 0.113, 0.829], [0.281, 0.581, 0.831], [0.714, 0.738, 0.494], [0.718, 0.414, 0.165], [0.725, 0.558, 0.829], [0.728, 0.084, 0.813], [0.728, 0.882, 0.154], [0.730, 0.241, 0.499]]}

***

Record 2
{"formula": "Li4MnCo2O7", "functional": "PBE+U", "state": "relaxed", "de_polymorph_ev_per_atom": 0.0331, "volume_a3_per_atom": 9.0, "energy_ev_per_atom": -5.844, "mass_density_kg_m3": 4121, "lattice_angstrom": [[5.116, 0.000, 0.000], [2.367, 7.300, 0.000], [1.647, 3.407, 6.745]], "species": ["Li", "Li", "Li", "Li", "Li", "Li", "Li", "Li", "Mn", "Mn", "Co", "Co", "Co", "Co", "O", "O", "O", "O", "O", "O", "O", "O", "O", "O", "O", "O", "O", "O"], "fractional_positions": [[0.000, 0.000, 0.000], [0.000, 0.128, 0.296], [0.001, 0.842, 0.731], [0.003, 0.701, 0.440], [0.015, 0.403, 0.875], [0.500, 0.130, 0.799], [0.998, 0.559, 0.152], [0.999, 0.265, 0.598], [0.501, 0.988, 0.514], [0.502, 0.411, 0.372], [0.495, 0.707, 0.938], [0.505, 0.266, 0.076], [0.506, 0.845, 0.221], [0.507, 0.547, 0.659], [0.269, 0.129, 0.057], [0.270, 0.979, 0.749], [0.272, 0.555, 0.906], [0.274, 0.681, 0.201], [0.277, 0.428, 0.603], [0.279, 0.261, 0.348], [0.283, 0.848, 0.468], [0.719, 0.413, 0.132], [0.722, 0.140, 0.535], [0.724, 0.720, 0.679], [0.728, 0.833, 0.991], [0.731, 0.987, 0.274], [0.733, 0.549, 0.404], [0.746, 0.287, 0.835]]}

***

Record 3
Snapshot of me:
I'm 50. I've been working on my own cars my entire life. In fact my dad used to drag me outside to help work on our various busted vehicles since I was 10 years old, while all my friends watched cartoons or played games in the street. I actually resented it and it wasn't until I was in my 30s that I realized what a gift he had given me. The thought of paying someone to do work I'm quite capable of doing myself is akin to paying someone to do my laundry or grocery shop.
I've left a long trail of cars and motorcycles behind me. Mostly German cars but some Japanese and only a few US built cars. One French, one British, no Italians.
Some I loved more than others, a couple I still kick myself for selling. Some I built engines for and some I never did anything but pour gas in the hole and drive the #@*& out of. In short, outside of tire changes no one touches my car with a wrench but me (okay I did have some hop up parts installed on my Subaru after I had ruptured a disc, but otherwise it's been all me).
The only thing I've totally steered clear on is opening an automatic transmission, and I'm going to break that rule tonight when I swap the valve body in our VW Touareg (minor surgery compared to actually splitting the case). In short, I loathe automatics for their cost, complexity and well, if I have to tell you then you won't understand.
Data records that have nothing to do with the article =
********
The following is a PBE with a Hubbard U calculation of Li3Cr3FeO8 after structural relaxation, from the Materials Project.

Summary:
Relative energy among the computed polymorphs in kJ/mol of formula units: 36.1
M_tot in μB per atom: 0.87
Energy of formation from the pure elements in eV per atom: -2.164
Final energy in eV/atom: -6.76

abc: 5.952 5.952 5.952
angles: 59.25 59.25 59.25
Fractional coordinates of all 15 atoms:
Li (0.000, 0.500, 0.500)
Li (0.500, 0.000, 0.500)
Li (0.500, 0.500, 0.000)
Cr (0.000, 0.000, 0.500)
Cr (0.000, 0.500, 0.000)
Cr (0.500, 0.000, 0.000)
Fe (0.500, 0.500, 0.500)
O (0.241, 0.241, 0.241)
O (0.257, 0.729, 0.729)
O (0.271, 0.271, 0.743)
O (0.271, 0.743, 0.271)
O (0.729, 0.257, 0.729)
O (0.729, 0.729, 0.257)
O (0.743, 0.271, 0.271)
O (0.759, 0.759, 0.759)

=====

The following is a PBE with a Hubbard U calculation of LiCr3Fe2O8 after structural relaxation, from the Materials Project.

Summary:
M_tot in μB per atom: 1.36
Energy of formation from the pure elements in eV per atom: -2.124
Final energy in eV/atom: -7.22

abc: 6.004 6.004 6.004
angles: 59.93 59.93 59.93
Fractional coordinates of all 14 atoms:
Li (0.000, 0.000, 0.000)
Cr (0.372, 0.372, 0.884)
Cr (0.372, 0.884, 0.372)
Cr (0.884, 0.372, 0.372)
Fe (0.371, 0.371, 0.371)
Fe (0.750, 0.750, 0.750)
O (0.136, 0.136, 0.590)
O (0.136, 0.590, 0.136)
O (0.138, 0.138, 0.138)
O (0.147, 0.619, 0.619)
O (0.590, 0.136, 0.136)
O (0.617, 0.617, 0.617)
O (0.619, 0.147, 0.619)
O (0.619, 0.619, 0.147)

=====

The following is a PBE with a Hubbard U calculation of Li3Cr10Fe5O24 after structural relaxation, from the Materials Project.

Summary:
M_tot in μB per atom: 1.31
Energy of formation from the pure elements in eV per atom: -2.170
Final energy in eV/atom: -7.30

abc: 5.990 5.990 14.665
angles: 90.07 90.07 60.00
Fractional coordinates of all 42 atoms:
Li (0.000, 0.000, 0.000)
Li (0.332, 0.332, 0.332)
Li (0.666, 0.666, 0.666)
Cr (0.000, 0.000, 0.627)
Cr (0.008, 0.496, 0.124)
Cr (0.162, 0.162, 0.790)
Cr (0.163, 0.675, 0.790)
Cr (0.334, 0.334, 0.961)
Cr (0.340, 0.829, 0.456)
Cr (0.496, 0.008, 0.124)
Cr (0.675, 0.163, 0.790)
Cr (0.829, 0.340, 0.456)
Cr (0.829, 0.829, 0.456)
Fe (0.333, 0.333, 0.582)
Fe (0.494, 0.494, 0.123)
Fe (0.665, 0.665, 0.295)
Fe (0.667, 0.667, 0.916)
Fe (0.999, 0.999, 0.249)
O (0.000, 0.000, 0.861)
O (0.020, 0.490, 0.872)
O (0.156, 0.686, 0.538)
O (0.157, 0.157, 0.538)
O (0.180, 0.635, 0.045)
O (0.185, 0.185, 0.046)
O (0.298, 0.851, 0.712)
O (0.332, 0.332, 0.197)
O (0.333, 0.333, 0.714)
O (0.351, 0.826, 0.205)
O (0.490, 0.020, 0.872)
O (0.491, 0.491, 0.872)
O (0.514, 0.514, 0.378)
O (0.515, 0.969, 0.378)
O (0.635, 0.180, 0.045)
O (0.666, 0.666, 0.527)
O (0.668, 0.668, 0.048)
O (0.686, 0.156, 0.538)
O (0.823, 0.823, 0.204)
O (0.826, 0.351, 0.205)
O (0.850, 0.850, 0.712)
O (0.851, 0.298, 0.712)
O (0.969, 0.515, 0.378)
O (0.999, 0.999, 0.381)

=====
********
So much for the data records =
So that's it in a nut shell. Wrench turning starts in the next post.